What to do =
The reader should quote the part of the data further down that starts with the line with "Sb12 0.500" and stops after the one with "Entry 1:".

Listing =
____________
No. 1
The following is a DFT calculation (PBE) of a relaxed structure of HgSbPb2.

Cell: 3.474 3.474 9.791 Å, 90.00 90.00 99.71°
Sites, in units of the cell vectors:
Pb1 0.000 0.000 0.994
Pb2 0.000 0.000 0.506
Sb1 0.500 0.500 0.250
Hg1 0.500 0.500 0.750

ΔE to the lowest computed polymorph	50	meV/atom
SG	Cmmm (65)
calculated density	10.50	Mg/m³
formation energy from raw total energies	0.070	eV/atom

=====

No. 2
The following is a DFT calculation (PBE) of a relaxed structure of Hg3Sb5Pb12.

Cell: 15.665 15.665 15.665 Å, 109.47 109.47 109.47°
Sites, in units of the cell vectors:
Hg1 0.750 0.375 0.125
Hg2 0.875 0.750 0.125
Hg3 0.375 0.750 0.625
Hg4 0.250 0.125 0.375
Hg5 0.875 0.125 0.250
Hg6 0.375 0.625 0.250
Hg7 0.625 0.375 0.750
Hg8 0.125 0.875 0.750
Hg9 0.750 0.875 0.625
Hg10 0.625 0.250 0.375
Hg11 0.125 0.250 0.875
Hg12 0.250 0.625 0.875
Sb1 0.125 0.375 0.250
Sb2 0.000 0.500 0.000
Sb3 0.000 0.000 0.000
Sb4 0.375 0.250 0.125
Sb5 0.500 0.000 0.500
Sb6 0.500 0.500 0.000
Sb7 0.125 0.750 0.375
Sb8 0.750 0.125 0.875
Sb9 0.750 0.625 0.375
Sb10 0.375 0.125 0.750
Sb11 0.625 0.875 0.250
Sb12 0.500 0.500 0.500
Sb13 0.500 0.000 0.000
Sb14 0.000 0.000 0.500
Sb15 0.250 0.375 0.625
Sb16 0.250 0.875 0.125
Sb17 0.000 0.500 0.500
Sb18 0.875 0.250 0.625
Sb19 0.625 0.750 0.875
Sb20 0.875 0.625 0.750
Pb1 0.736 0.128 0.063
Pb2 0.327 0.563 0.435
Pb3 0.937 0.372 0.264
Pb4 0.563 0.236 0.128
Pb5 0.608 0.736 0.673
Pb6 0.937 0.565 0.173
Pb7 0.327 0.764 0.392
Pb8 0.065 0.892 0.128
Pb9 0.565 0.937 0.673
Pb10 0.736 0.608 0.173
Pb11 0.764 0.437 0.372
Pb12 0.827 0.935 0.063
Pb13 0.128 0.736 0.563
Pb14 0.372 0.435 0.108
Pb15 0.108 0.935 0.372
Pb16 0.392 0.128 0.565
Pb17 0.108 0.173 0.236
Pb18 0.437 0.673 0.065
Pb19 0.827 0.892 0.264
Pb20 0.128 0.392 0.065
Pb21 0.372 0.937 0.764
Pb22 0.565 0.628 0.392
Pb23 0.935 0.827 0.563
Pb24 0.764 0.327 0.892
Pb25 0.435 0.372 0.608
Pb26 0.065 0.173 0.437
Pb27 0.236 0.673 0.108
Pb28 0.173 0.108 0.736
Pb29 0.628 0.063 0.236
Pb30 0.872 0.608 0.935
Pb31 0.563 0.327 0.935
Pb32 0.608 0.872 0.435
Pb33 0.892 0.827 0.764
Pb34 0.892 0.065 0.628
Pb35 0.872 0.264 0.437
Pb36 0.173 0.065 0.937
Pb37 0.628 0.565 0.892
Pb38 0.435 0.063 0.327
Pb39 0.264 0.392 0.827
Pb40 0.236 0.563 0.628
Pb41 0.935 0.108 0.872
Pb42 0.673 0.236 0.608
Pb43 0.437 0.764 0.872
Pb44 0.063 0.435 0.827
Pb45 0.392 0.264 0.327
Pb46 0.063 0.628 0.736
Pb47 0.673 0.437 0.565
Pb48 0.264 0.872 0.937

SG	Ia-3d (230)
calculated density	8.30	Mg/m³
formation energy from raw total energies	0.154	eV/atom

~~~~~

Entry 1:
Computed, not measured: a relaxed structure of ErThZnAu at the GGA-PBE level of DFT. Values from VASP.

```
&SYSTEM
  ibrav = 0, nat = 4, ntyp = 4
/
ATOMIC_SPECIES
Er 167.26 Er.upf
Th 232.04 Th.upf
Zn 65.41 Zn.upf
Au 196.97 Au.upf
CELL_PARAMETERS angstrom
0.000 3.645 3.645
3.645 0.000 3.645
3.645 3.645 0.000
ATOMIC_POSITIONS crystal
Er 0.000 0.000 0.000
Th 0.500 0.500 0.500
Zn 0.750 0.750 0.750
Au 0.250 0.250 0.250
```

Total energy in eV/atom: -4.571
Calculated formation energy in meV/atom: -437


Entry 2:
Computed, not measured: a relaxed structure of ErTiAu4 at the GGA-PBE level of DFT. Values from VASP.

```
&SYSTEM
  ibrav = 0, nat = 6, ntyp = 3
/
ATOMIC_SPECIES
Er 167.26 Er.upf
Ti 47.87 Ti.upf
Au 196.97 Au.upf
CELL_PARAMETERS angstrom
3.583 0.000 0.000
0.000 3.583 0.000
0.000 0.000 8.876
ATOMIC_POSITIONS crystal
Er 0.000 0.000 0.000
Ti 0.500 0.500 0.500
Au 0.000 0.000 0.343
Au 0.000 0.000 0.657
Au 0.500 0.500 0.177
Au 0.500 0.500 0.823
```

Total energy in eV/atom: -4.883
Calculated formation energy in meV/atom: -622


Look up the total energy of the second one.
-4.883 eV/atom

~~~~~

Density functional theory data (PBE) for crystalline TcPOs2 at its relaxed geometry.

## Properties
Magnetization   0.000 μB per cell
Calculated volume   54.3 Å³/cell
DFT total energy   -9.60 eV per atom
Formation enthalpy at 0 K   -0.04 eV per atom
N(E_F)   1.40 states/eV per cell
Crystal system   tetragonal
Space group   No. 123

a = 2.8480 Å, b = 2.8480 Å, c = 6.6972 Å
____________

Done =
Sb12 0.500 0.500 0.500
Sb13 0.500 0.000 0.000
Sb14 0.000 0.000 0.500
Sb15 0.250 0.375 0.625
Sb16 0.250 0.875 0.125
Sb17 0.000 0.500 0.500
Sb18 0.875 0.250 0.625
Sb19 0.625 0.750 0.875
Sb20 0.875 0.625 0.750
Pb1 0.736 0.128 0.063
Pb2 0.327 0.563 0.435
Pb3 0.937 0.372 0.264
Pb4 0.563 0.236 0.128
Pb5 0.608 0.736 0.673
Pb6 0.937 0.565 0.173
Pb7 0.327 0.764 0.392
Pb8 0.065 0.892 0.128
Pb9 0.565 0.937 0.673
Pb10 0.736 0.608 0.173
Pb11 0.764 0.437 0.372
Pb12 0.827 0.935 0.063
Pb13 0.128 0.736 0.563
Pb14 0.372 0.435 0.108
Pb15 0.108 0.935 0.372
Pb16 0.392 0.128 0.565
Pb17 0.108 0.173 0.236
Pb18 0.437 0.673 0.065
Pb19 0.827 0.892 0.264
Pb20 0.128 0.392 0.065
Pb21 0.372 0.937 0.764
Pb22 0.565 0.628 0.392
Pb23 0.935 0.827 0.563
Pb24 0.764 0.327 0.892
Pb25 0.435 0.372 0.608
Pb26 0.065 0.173 0.437
Pb27 0.236 0.673 0.108
Pb28 0.173 0.108 0.736
Pb29 0.628 0.063 0.236
Pb30 0.872 0.608 0.935
Pb31 0.563 0.327 0.935
Pb32 0.608 0.872 0.435
Pb33 0.892 0.827 0.764
Pb34 0.892 0.065 0.628
Pb35 0.872 0.264 0.437
Pb36 0.173 0.065 0.937
Pb37 0.628 0.565 0.892
Pb38 0.435 0.063 0.327
Pb39 0.264 0.392 0.827
Pb40 0.236 0.563 0.628
Pb41 0.935 0.108 0.872
Pb42 0.673 0.236 0.608
Pb43 0.437 0.764 0.872
Pb44 0.063 0.435 0.827
Pb45 0.392 0.264 0.327
Pb46 0.063 0.628 0.736
Pb47 0.673 0.437 0.565
Pb48 0.264 0.872 0.937

SG	Ia-3d (230)
calculated density	8.30	Mg/m³
formation energy from raw total energies	0.154	eV/atom

~~~~~

Entry 1: